This week starts week four of my elimination diet! It’s been rough, but everyone has been so supportive and great!
I’ve received a few questions so I thought I would write everything out in case you had some of the same questions!
Why all the test to go on an elimination diet, couldn’t you have just cut out food yourself?
I’ve tried this a few times and here is what I’ve ran into. With an autoimmune disease that specifically effects the thyroid, I read anything from just go gluten free all the way to only eat autoimmune paleo. And there are A LOT of things in between. I really wanted to find how my body was handling food and what my body would react to! And I’m glad I did! I figured I would have to go gluten free for the elimination diet, but my test showed my body reacts to Tapioca and Amaranth- both found in gluten free flours and goods. So if I wouldn’t have had the test done, I would have been putting things in my body that it was constantly reacting too.
Why did you pick the nutritionist you did?
I’ve talked to a few people about nutritionist and they have given me great recommendations. I ultimately decided to go with Jessica at Simple Steps Nutrition for a few main reasons: 1) She also has an autoimmune disease and thyroid problems, so she knows exactly what I am doing through and how I feel 2) She is familiar with Young Living Essential Oils so I was very comfortable discussing the oils I am using with her 3) She did a 20 minute free call to make sure we were both on the same page and to talk about my goals. During that call there were a few things that she said that really sealed the deal- the first being that she was going to perform the extensive test needed to truly test my gut and the second being that she doesn’t up-charge for these test. She charges you her cost, plus shipping and some other little fees. If you have ever priced some of these test then you know they can be expensive!
How long do you have to stay on the elimination diet?
Three months! I’ll be honest, some days it seems like it will be over in no time and all and then other days it feels like a lifetime! After three months, I can slowly start introducing foods on my “No” list back into my diet. With a few restrictions- 1) No dairy at all 2) Limit gluten as much as possible/ try to go gluten free if I can 3) Limit sugar and sodas 4) If I feel my body having a reaction to the food (headache, stomach cramps, things like that) then stay off those foods. I will retest again after the 3 months to make sure my gut has healed.
What comes next are data records, not part of the page:
........
(1)
Entry from Alexandria via LeMat-Bulk: Hf6Zr4Sc19 after structural relaxation (GGA-PBE).

```
Hf6Zr4Sc19
1.0
8.111 0.000 0.000
-3.409 9.616 0.000
-3.726 -3.920 8.855
Hf Zr Sc
6 4 19
Direct
0.000 0.000 0.000 Hf
0.017 0.721 0.848 Hf
0.068 0.691 0.562 Hf
0.143 0.333 0.184 Hf
0.461 0.842 0.064 Hf
0.636 0.699 0.261 Hf
0.113 0.168 0.636 Zr
0.179 0.835 0.203 Zr
0.545 0.555 0.648 Zr
0.737 0.146 0.063 Zr
0.000 0.349 0.422 Sc
0.114 0.531 0.016 Sc
0.256 0.530 0.775 Sc
0.289 0.014 0.845 Sc
0.339 0.230 0.442 Sc
0.343 0.988 0.559 Sc
0.346 0.667 0.408 Sc
0.368 0.356 0.009 Sc
0.457 0.141 0.196 Sc
0.533 0.847 0.779 Sc
0.584 0.326 0.820 Sc
0.620 0.478 0.387 Sc
0.650 0.025 0.425 Sc
0.723 0.687 0.992 Sc
0.807 0.383 0.634 Sc
0.822 0.849 0.620 Sc
0.862 0.169 0.811 Sc
0.868 0.512 0.203 Sc
0.923 0.991 0.277 Sc
```

Properties
Its density of states at the Fermi level is 43.81 states/eV per cell. The formation energy comes out at 2.77 eV/f.u. The crystal system is triclinic.

(2)
Entry from Alexandria via LeMat-Bulk: In4Pd3Ru after structural relaxation (GGA-PBE).

```
In4Pd3Ru
1.0
3.286 0.000 0.000
0.000 3.286 0.000
0.000 0.000 13.083
In Pd Ru
4 3 1
Direct
0.000 0.000 0.120 In
0.000 0.000 0.374 In
0.000 0.000 0.626 In
0.000 0.000 0.880 In
0.500 0.500 0.246 Pd
0.500 0.500 0.500 Pd
0.500 0.500 0.754 Pd
0.500 0.500 0.000 Ru
```

Properties
Its density of states at the Fermi level is 3.07 states/eV per cell. The formation energy comes out at -2.88 eV/f.u. The crystal system is tetragonal.

(3)
Entry from Alexandria via LeMat-Bulk: Y6Ho12Tl after structural relaxation (GGA-PBE).

```
Y6Ho12Tl
1.0
5.911 3.412 4.961
-5.911 3.412 4.961
0.000 -6.825 4.961
Y Ho Tl
6 12 1
Direct
0.201 0.595 0.759 Y
0.241 0.799 0.405 Y
0.405 0.241 0.799 Y
0.595 0.759 0.201 Y
0.759 0.201 0.595 Y
0.799 0.405 0.241 Y
0.040 0.278 0.933 Ho
0.067 0.960 0.722 Ho
0.139 0.312 0.487 Ho
0.278 0.933 0.040 Ho
0.312 0.487 0.139 Ho
0.487 0.139 0.312 Ho
0.513 0.861 0.688 Ho
0.688 0.513 0.861 Ho
0.722 0.067 0.960 Ho
0.861 0.688 0.513 Ho
0.933 0.040 0.278 Ho
0.960 0.722 0.067 Ho
0.500 0.500 0.500 Tl
```

Properties
Its density of states at the Fermi level is 28.78 states/eV per cell. The formation energy comes out at 1.84 eV/f.u. The crystal system is trigonal.

(4)
Entry from Alexandria via LeMat-Bulk: ZrZnPb4 after structural relaxation (GGA-PBE).

```
ZrZnPb4
1.0
0.000 4.455 4.455
4.455 0.000 4.455
4.455 4.455 0.000
Zr Zn Pb
1 1 4
Direct
0.000 0.000 0.000 Zr
0.250 0.250 0.250 Zn
0.123 0.626 0.626 Pb
0.626 0.123 0.626 Pb
0.626 0.626 0.123 Pb
0.626 0.626 0.626 Pb
```

Properties
Its density of states at the Fermi level is 5.38 states/eV per cell. The formation energy comes out at 2.88 eV/f.u. The crystal system is cubic.

(5)
Entry from Alexandria via LeMat-Bulk: TlFe2Co after structural relaxation (GGA-PBE).

```
TlFe2Co
1.0
3.778 0.000 0.000
0.000 3.778 0.000
0.000 0.000 7.937
Tl Fe Co
2 4 2
Direct
0.000 0.000 0.000 Tl
0.500 0.500 0.500 Tl
0.000 0.500 0.250 Fe
0.000 0.500 0.750 Fe
0.500 0.000 0.250 Fe
........
How do you go out to eat?
Very carefully! I good news is, I’m not allergic to any of these foods- so cross contamination isn’t as big of a deal for me. Most restaurants have an allergen menu and I study that before I go to the restaurant. I make sure to tell the waitress I can’t have gluten or dairy when I order and I order everything with no seasoning and butter. My favorite place to eat so far is Henry’s. We have been eating there for years and know the wait staff and I’m very comfortable with how they prepare my food! 90% of the time I’m eating plain shrimp and veggies. Every now and then I’ll have a steak somewhere-but I’m picky about where (because let’s be honest, no one wants to pay $15 for a bland steak so Henry’s is pretty much my go to for a steak)
Have you cheated any?
1.
# PBE Ac8Ge3N4, optimized geometry
# E: -5.91 eV/atom
# E_form (uncorrected): -0.574 eV per atom
# SG: C2/m (12)
# V: 430.17 Å³/cell
data_Ac8Ge3N4
_cell_length_a 8.3377
_cell_length_b 8.4279
_cell_length_c 8.4279
_cell_angle_alpha 90.04
_cell_angle_beta 119.07
_cell_angle_gamma 119.07
_symmetry_space_group_name_H-M 'P 1'
_symmetry_Int_Tables_number 1
_symmetry_space_group_name_Hall 'P 1'
loop_
_atom_site_label
_atom_site_type_symbol
_atom_site_fract_x
_atom_site_fract_y
_atom_site_fract_z
N1 N 0.0000 0.5000 0.0000
N2 N 0.0000 0.0000 0.5000
N3 N 0.5000 0.0000 0.0000
N4 N 0.0000 0.0000 0.0000
Ac1 Ac 0.5000 0.2373 0.7627
Ac2 Ac 0.5418 0.7892 0.7892
Ac3 Ac 0.0000 0.2432 0.7568
Ac4 Ac 0.0000 0.7568 0.2432
Ac5 Ac 0.4582 0.2108 0.2108
Ac6 Ac 0.9813 0.2245 0.2245
Ac7 Ac 0.5000 0.7627 0.2373
Ac8 Ac 0.0187 0.7755 0.7755
Ge1 Ge 0.5000 0.0000 0.5000
Ge2 Ge 0.5000 0.5000 0.0000
Ge3 Ge 0.5000 0.5000 0.5000


2.
# PBE Na4CuRh3S8, optimized geometry
# E: -4.68 eV/atom
# E_form (uncorrected): -0.650 eV per atom
# SG: R-3m (166)
# V: 290.04 Å³/cell
data_Na4CuRh3S8
_cell_length_a 7.2810
_cell_length_b 7.5900
_cell_length_c 7.2806
_cell_angle_alpha 118.68
_cell_angle_beta 120.00
_cell_angle_gamma 90.00
_symmetry_space_group_name_H-M 'P 1'
_symmetry_Int_Tables_number 1
_symmetry_space_group_name_Hall 'P 1'
loop_
_atom_site_label
_atom_site_type_symbol
_atom_site_fract_x
_atom_site_fract_y
_atom_site_fract_z
S1 S 0.2329 0.6901 0.9574
S2 S 0.7245 0.6901 0.9574
S3 S 0.7293 0.6876 0.4585
S4 S 0.2707 0.3124 0.5415
S5 S 0.7673 0.3101 0.5347
S6 S 0.7671 0.3099 0.0426
S7 S 0.2755 0.3099 0.0426
S8 S 0.2327 0.6899 0.4653
Na1 Na 0.5000 0.0000 0.0000
Na2 Na 0.5000 0.0000 0.5000
Na3 Na 0.0000 0.0000 0.5000
Na4 Na 0.0000 0.0000 0.0000
Rh1 Rh 0.0000 0.5000 0.5000
Rh2 Rh 0.5000 0.5000 0.5000
Rh3 Rh 0.5000 0.5000 0.0000
Cu1 Cu 0.0000 0.5000 0.0000


3.
# PBE NbCo3Pd, optimized geometry
# ΔH_f (0 K): 1.469 eV/atom
# E: -5.85 eV/atom
# SG: Pm-3m (221)
# Energy relative to the lowest polymorph listed for this composition: 98 meV per atom
# V: 89.09 Å³/cell
data_NbCo3Pd
_cell_length_a 4.4663
_cell_length_b 4.4663
_cell_length_c 4.4663
_cell_angle_alpha 90.00
_cell_angle_beta 90.00
_cell_angle_gamma 90.00
_symmetry_space_group_name_H-M 'P 1'
_symmetry_Int_Tables_number 1
_symmetry_space_group_name_Hall 'P 1'
loop_
_atom_site_label
_atom_site_type_symbol
_atom_site_fract_x
_atom_site_fract_y
_atom_site_fract_z
Nb1 Nb 0.5000 0.5000 0.5000
Co1 Co 0.0000 0.0000 0.5000
Co2 Co 0.5000 0.0000 0.0000
Co3 Co 0.0000 0.5000 0.0000
Pd1 Pd 0.0000 0.0000 0.0000


4.
# PBE YZrBe3, optimized geometry
# ΔH_f (0 K): 1.514 eV/atom
# E: -3.72 eV/atom
# SG: Pm-3m (221)
# Energy relative to the lowest polymorph listed for this composition: 562 meV per atom
# V: 94.62 Å³/cell
data_YZrBe3
_cell_length_a 4.5568
_cell_length_b 4.5568
_cell_length_c 4.5568
_cell_angle_alpha 90.00
_cell_angle_beta 90.00
_cell_angle_gamma 90.00
_symmetry_space_group_name_H-M 'P 1'
_symmetry_Int_Tables_number 1
I have- There are sometimes that I feel if I have to drink another glass of water I will throw up. So I will order a sweet tea, take my medication with it and leave it at that. Normally it’s only about 1/2 a glass. And this is only once a week- if that. Also, I have four chemicals on my “No” list and two of those chemicals are pretty much found in all foods. (They are chemicals that are found in food as it starts to age or ripen- think ripe veggies, or aged meats and vinegar). So I’ve been able to try different foods that have these chemicals in them and see how I react. Like today- I had homemade pickles with my Gluten Free black bean burger patty- Bad Idea!! They were good, but the headache I’ve had for the past three hours after eating them wasn’t worth it!
┌──
Entry 1:
Material: Tb2Ce4Bi3N2
Method: DFT, GGA-PBE
State: optimized geometry

Structure (CIF):
```
data_Tb2Ce4Bi3N2
_chemical_formula_sum 'Tb4 Ce8 Bi6 N4'
_cell_length_a 4.710
_cell_length_b 4.710
_cell_length_c 26.735
_cell_angle_alpha 90.00
_cell_angle_beta 90.00
_cell_angle_gamma 90.00
_symmetry_space_group_name_H-M 'I 4/m m m'
_symmetry_Int_Tables_number 139
_symmetry_space_group_name_Hall '-I 4 2'
loop_
_atom_site_label
_atom_site_type_symbol
_atom_site_fract_x
_atom_site_fract_y
_atom_site_fract_z
Tb1 Tb 0.000 0.000 0.194
Ce1 Ce 0.000 0.500 0.087
Bi1 Bi 0.000 0.000 0.317
Bi2 Bi 0.000 0.000 0.500
N1 N 0.000 0.000 0.108
```

M_tot (Bohr magnetons per cell): 8.33
Crystal system: tetragonal
N(E_F) (states/eV per cell): 44.73
Calculated volume (Å³ per atom): 26.96
E_form (uncorrected) (eV/atom): -0.97

Entry 2:
Material: Tb4Ce2Bi3N2
Method: DFT, GGA-PBE
State: optimized geometry

Structure (CIF):
```
data_Tb4Ce2Bi3N2
_chemical_formula_sum 'Tb8 Ce4 Bi6 N4'
_cell_length_a 4.741
_cell_length_b 4.741
_cell_length_c 26.030
_cell_angle_alpha 90.00
_cell_angle_beta 90.00
_cell_angle_gamma 90.00
_symmetry_space_group_name_H-M 'I 4/m m m'
_symmetry_Int_Tables_number 139
_symmetry_space_group_name_Hall '-I 4 2'
loop_
_atom_site_label
_atom_site_type_symbol
_atom_site_fract_x
_atom_site_fract_y
_atom_site_fract_z
Tb1 Tb 0.000 0.500 0.084
Ce1 Ce 0.000 0.000 0.190
Bi1 Bi 0.000 0.000 0.323
Bi2 Bi 0.000 0.000 0.500
N1 N 0.000 0.000 0.103
```

M_tot (Bohr magnetons per cell): 4.92
Crystal system: tetragonal
N(E_F) (states/eV per cell): 30.88
Calculated volume (Å³ per atom): 26.59
E_form (uncorrected) (eV/atom): -1.03

Entry 3:
Material: TbCeBiN
Method: DFT, GGA-PBE
State: optimized geometry

Structure (CIF):
```
data_TbCeBiN
_chemical_formula_sum 'Tb2 Ce2 Bi2 N2'
_cell_length_a 4.634
_cell_length_b 4.634
_cell_length_c 9.153
_cell_angle_alpha 90.00
_cell_angle_beta 90.00
_cell_angle_gamma 90.00
_symmetry_space_group_name_H-M 'P 4/n m m'
_symmetry_Int_Tables_number 129
loop_
_symmetry_equiv_pos_as_xyz
'x,y,z'
'-x,-y,-z'
'-y+1/2,x,z'
'y+1/2,-x,-z'
'-x+1/2,-y+1/2,z'
'x+1/2,y+1/2,-z'
'y,-x+1/2,z'
'-y,x+1/2,-z'
'x+1/2,-y,-z'
'-x+1/2,y,z'
'-y,-x,-z'
'y,x,z'
'-x,y+1/2,-z'
'x,-y+1/2,z'
'y+1/2,x+1/2,-z'
'-y+1/2,-x+1/2,z'
loop_
_atom_site_label
_atom_site_type_symbol
_atom_site_fract_x
_atom_site_fract_y
_atom_site_fract_z
Tb1 Tb 0.250 0.250 0.172
Ce1 Ce 0.250 0.750 0.500
Bi1 Bi 0.250 0.250 0.810
N1 N 0.250 0.250 0.414
```

M_tot (Bohr magnetons per cell): 1.38
Crystal system: tetragonal
N(E_F) (states/eV per cell): 9.13
Calculated volume (Å³ per atom): 24.56
E_form (uncorrected) (eV/atom): -1.18

Entry 4:
Material: TbCeBiN2
Method: DFT, GGA-PBE
State: optimized geometry

Structure (CIF):
```
data_TbCeBiN2
_chemical_formula_sum 'Tb4 Ce4 Bi4 N8'
_cell_length_a 5.596
_cell_length_b 14.537
_cell_length_c 5.614
_cell_angle_alpha 90.00
_cell_angle_beta 90.00
_cell_angle_gamma 90.00
_symmetry_space_group_name_H-M 'C m c m'
_symmetry_Int_Tables_number 63
└──
• End of the crystal structures:
So- that’s about all! If you have any questions feel free to ask!